The emerging nature of climate change and the wide range of potential impacts means that this is an area of study with a great level of uncertainty and very complex multivariate interactions. It is also a new and unfamiliar area of study for actuaries. The sub-group aims to produce output that is genuinely helpful to practitioners and supports fellow actuaries’ analysis and study and therefore supports those furthering our collective understanding of the field. On a more personal note, the group members are keen to use their actuarial skills in a positive way to support efforts to address climate change.
That climate change can affect non-economic factors in the liability portion of the balance sheet can be quickly understood by qualitative reasoning. For example, changes in temperature, flooding, large movements of people, or extreme weather can all create circumstances that may impact mortality/longevity and morbidity. What is much more difficult is how to make any quantitative assessment of the impact.
First steps
Our initial step was to survey readily available relevant publications and research articles covering aspects of the relationship between the effects of climate change (e.g. temperature change, flooding, droughts, air pollution) and death rates. The purpose of this was twofold:
- to begin a catalogue of information that will help fellow actuaries working in this area; and
- to gain an understanding of the type of information available and the challenges it presents.
The information catalogued will be combined with that gathered by the other sub-groups in the working party. This will create a point of reference for actuaries looking at climate change to enable them to find the information they are looking for more quickly, therefore, supporting them in their research.
-- begin --
Record 1
Structure and theoretical PXRD pattern of BaFe2N2 (a DFT-relaxed cell (PBE, Alexandria); copper Kα).
No peak broadening, texture or thermal motion is included.

Top 10 peaks for 10 to 90 degrees two-theta, in order of rising 2θ:
| 2θ (°) | I (rel.) |
| --- | --- |
| 20.63 | 137 |
| 28.05 | 1000 |
| 29.34 | 133 |
| 34.27 | 143 |
| 35.08 | 367 |
| 38.13 | 224 |
| 47.21 | 274 |
| 62.23 | 230 |
| 64.30 | 161 |
| 68.31 | 107 |

Crystal structure
abc: 6.089 6.089 9.440
angles: 90.00 90.00 90.00
Space group I4/mcm (No. 140)
Symmetry-distinct sites (fractional):
Ba 0.000 0.000 0.250 [4 per cell]
Fe 0.134 0.366 0.000 [8 per cell]
N 0.159 0.341 0.500 [8 per cell]

***

Record 2
Structure and theoretical PXRD pattern of BaFeN2 (a DFT-relaxed cell (PBE, Alexandria); copper Kα).
No peak broadening, texture or thermal motion is included.

Top 10 peaks for 10 to 90 degrees two-theta, in order of rising 2θ:
| 2θ (°) | I (rel.) |
| --- | --- |
| 23.02 | 596 |
| 27.36 | 493 |
| 31.04 | 1000 |
| 31.33 | 854 |
| 36.04 | 441 |
| 42.07 | 205 |
| 43.20 | 187 |
| 48.29 | 314 |
| 55.58 | 199 |
| 57.79 | 198 |

Crystal structure
abc: 6.076 10.011 4.571
angles: 90.00 109.99 90.00
Space group C2/c (No. 15)
Symmetry-distinct sites (fractional):
Ba 0.000 0.155 0.250 [4 per cell]
Fe 0.000 0.496 0.750 [4 per cell]
N 0.183 0.404 0.093 [8 per cell]

***

Record 3
Structure and theoretical PXRD pattern of Ba2Fe2N3 (a DFT-relaxed cell (PBE, Alexandria); copper Kα).
No peak broadening, texture or thermal motion is included.

Top 10 peaks for 10 to 90 degrees two-theta, in order of rising 2θ:
| 2θ (°) | I (rel.) |
| --- | --- |
| 23.86 | 336 |
| 24.82 | 389 |
| 29.11 | 960 |
| 30.21 | 792 |
| 32.16 | 491 |
| 32.71 | 1000 |
| 33.61 | 619 |
| 41.28 | 342 |
| 43.60 | 255 |
| 45.92 | 170 |

Crystal structure
abc: 5.928 6.176 8.956
angles: 90.00 127.90 90.00
Space group P2_1/c (No. 14)
Symmetry-distinct sites (fractional):
Ba 0.165 0.151 0.398 [4 per cell]
Fe 0.352 0.586 0.652 [4 per cell]
N 0.000 0.000 0.000 [2 per cell]
N 0.431 0.641 0.224 [4 per cell]

***

What is the formula in the first record?
BaFe2N2
-- stop --
-- The materials data stop here --
So far
A few examples of the type of information we have found in the publications reviewed so far are:
- High-level consideration of key climate change outcomes. For instance, the number of extreme temperature events investigated alongside numbers of excess deaths to determine how climate change has affected mortality recently. These are then often projected forward to calculate the potential future impact of climate change. However, most insurance reports are lacking technical detail, perhaps due to the young nature of this field of study.
- Global associations of insurers have provided frameworks for the risk’s insurers need to take particular note of and how they may go about quantifying the impact of climate change. These reports often note the lack of data and modelling expertise in the area and indeed, we’ve found a lack of insurance modelling specific reports.
- Detailed research which investigates the impact of climate change on health and mortality from sources such as medical journals and the World Health Organisation.
- The research considers a range of factors contributing to mortality such as temperature changes, air pollution and drought - sometimes linked to specific causes of death such as certain cancers and lung disease. We have, however, found there to be little that bridges the gap from the medical to the actuarial and insurance context.
- Some regions have created indices relevant for climate change, such as the Actuaries Climate Index in America and Canada. It measures the observed changes in extreme weather and sea levels and is updated quarterly using meteorological data. The Australian Actuaries Climate Index and Singapore Actuarial Society Climate Index have also been set up to measure similar information. It appears that the UK and Europe have no such actuarial index, but there is plenty of evidence that European insurers have had to consider impacts on the liability side of the balance sheet.
Our overarching aim is to produce output that is genuinely useful to other actuaries. To do this, we are developing a survey that has two goals:
- to gather information about the work currently being carried out by actuaries within the life industry that we can then share with IFoA members to support the development of best practice; and,
- to get input from you all as members on what you would find most useful to support you in your work.
We will use the survey output, combined with the information we have gathered from our survey of publications, to guide the direction of the sub-group to the working party.
The aim would be for this output to provide practical support for activities such as demographic basis setting and stress testing, and to help address some of the challenges the field presents, in particular:
- newness: unlike other risks, actuaries have not had years of developing and refining techniques to model impact;
- complexity: the potential impact of climate change is hugely complex, with highly uncertain impacts on a diverse set of interacting factors such as population displacement, pandemic risk, and weather changes; and,
- data: as this is an emerging field, data collection is young and thus the data available for analysis is limited.
Look out for our regular blogs and let us know what we can produce to help support your work.